Selected Articles

84. Shiva: The Essence of Consciousness in the Shivadvaita of Kashmir, in: Shiva, Lord of the Cosmic Dance, edited by Karan Singh, Speaking Tiger Books, New Delhi 2022, pp.241-252

83. Form, space and consciousness: architectural principles in the Vastushastras in: Eloquent Spaces: Meaning and Community in Early Indian Architecture, edited by Shonaleeka Kaul, Routledge, London 2019, pp. 13-33 

82. Stuti: Praise in a Non-dualist Context, in: Spirituality through Interreligious Experience. Festschrift in Honour of Dr. Sebastian Painadath SJ, editor Xavier Tharamel SJ, ISPCK, Delhi 2019, pp. 134-145

81. The Living Temple: Aesthetics in Śilpa Śāstra, in: Meaning and Beauty, Shastric Foundation of Indian Aesthetics, edited by Kamalesh Datta Tripathi, Pranati Ghosal, IGNCA, New Delhi & Aryan Books International, New Delhi 2019, pp. 181-215

80. Deification in the Nondual Shaiva Agamas of Kashmir and in the Fathers of the Church, in Enlightenment and Tantra: Hindus and Christians in Dialogue, ed. by Bryan Lobo, Gregorian and Biblical Press, Rome 2018, pp. 59-76

79. Die flüssige Natur der ästhetischen Erfahrung, in Polylog 35 Sommer 2016, pp. 89-96

78. Intensity of Emotions: A Way to Liberation in The Advaita Shaiva Agamas and Their Exegetes, in: Emotions in Indian Thought Systems, ed. by Purushottama Bilimoria and Aleksandra Wenta, Routledge, London 2015, pp. 102-113

77. Foreword to Sung Min Kim, Voice of the Void: Aesthetics of the Buddhist Mandala on the basis of the Doctrine of Vak in Trika Shaivism, D.K. Printworld, New Delhi, 2015

76. 'Falling in Love with a Civilization': A Tribute to Daya Krishna, the Thinker, in: Philosophy as Samvad and Swaraj, ed. by Shail Mayaram, Sage Publications, 2014, pp. 34-40 

75. Konarka: Chariot of the Sun God, in: Outlines of Indian Arts, ed. by R.N. Misra, Indian Institute of Advanced Study, Shimla and Aryan Books Internations, New Delhi, 2014, pp. 139 - 150

74. Sarvam Sarvatmakam: Abhinavagupta's interpretation of the Maxim, in: Sanskrit and Development of World Thought, ed. by Vempaty Kutumba Sastry, New Delhi, Rashtriya Sanskrit Sansthan and D.K. Printworld, 2014, pp. 167 - 176

73. Gottesliebe und Nichtdualität in der Mystik von Utpaladeva, in: Mystik im Aufwind. Begegnung zwischen jüdischer und christlicher Mystik, hrg. von Johannes Schleicher, Tanja Hoeg, Vier-Türme-Verlag, 2014, pp. 105–114

72. Summer to Autumn: An Interreligious Pilgrimage, in: Dilatato Corde, Vol I, Nos 1 & 2, 2011 (Link:

71. "Que l'esprit vous perde dans le fond!" The letters that Swami Abhishiktananda wrote to his friend and disciple during the last ten years of his life., in: Dilatato Corde, Vol I, Nos 1 & 2, 2011 (Link:

70. Dal purusha alla shakti: l'esperienza di Abhishiktananda alla luce delle Upanishad e dello shivaismo del Kashmir, in: Nella caverna del cuore. L'itinerario mistico de Henri Le Saux in India, ed. P. Trianni & M. Vannini, Rivista di Ascetica e Mistica, Anno XXXVIII (82° di Vita Cr.), N. 2

69. Marc, My Brother, the Unborn. Memories of Marc Chaduc - Swami Ajatananda, in: Vidyajyoti Journal of Theological Reflection, Vol 78, No 5, May 2014, 326-338

68. "Creative Contemplation" (bhavana) in the Vijnana Bhairava Tantra, in: Hindu, Buddhist and Daoist Meditation, Ed. Halvor Eifring, Hermes, Oslo 2014

67. Sharika Devi: An Introduction, in: Saktyullasa: Sharika Devi, A Yogini of Kashmir, ed. by Neerja Mattoo, D.K. Printworld, New Delhi, 2013, pp. 1-11

66. Visamapi amrtayate: Paramadvaita in the Mystical Hymns of the Sivastotravali, in: Utpaladeva, Philosopher of Recognition, ed. by Raffaele Torella and Bettina Bäumer, Shimla, IIAS and DK Printworld, 2013.

65. The Living Temple: Aesthetics in Silpa Sastra, in: Meaning and Beauty: Shastric Foundations of Indian Aesthetics, ed. by K.D. Tripathi, New Delhi, IGNCA, 2012.

64. “Falling in Love with a Civilization’’. A Tribute to Daya Krishna, the Thinker, in: Philosophy as Samvada and Svaraj. Dialogical Meditations on Daya Krishna and Ramchandra Gandhi, ed. by Shail Mayaram, Shimla, IIAS and Sage, 2012.

63. Interreligious Dialogue, in: Windows on Dialogue, ed. by A. Bongiovanni, L. Fernando, G. Sabetta, V. Edwin, Delhi, ISPCK, 2012, pp. 59-65.

62. Mantra und die Energie des Wortes bei Abhinavagupta, in: Text und Mystik, ed. by Karl Baier, Wien, 2012.

61. From Regional Identity to Universal Consciousness: The Case of Abhinavagupta, in: Approaches to Kashmir Studies, ed. by G.M. Khawaja, Gulshan Majeed, Srinagar, Gulshan Books. 2011, pp. 106-114.

60. The Space of Breath in the Kashmiri Saivagamas A Special Feature in the Pan-Asian Culture of Breath, in: Religion and Culture, Festschrift in Honour of Francis X. D'Sa, SJ, Pune, Institute for the Study of Religion, 2011, pp. 278-289.

59. Dharmatita: Tradition und ihre Transzendierung bei Abhishiktananda, in: Festschrift Johann Figl…

58. From Purusa to Sakti: Abhishiktananda's Experience in the Light of the Upanishads and Kashmir Saivism, in: Witness to the Fullness of Light (see Books), pp. 31-46.

57. Text and Temple in Orissa: The Rajarani Temple of Bhubaneswar, in: Heritage Conservation and Research in India. 60 Years of Indo-Austrian Collaboration, ed. by Gabriela Krist, Tatjana Bayerova, Wien, Böhlau Verlag, 2010, pp. 41-46.

56. Vielfalt und Nicht-Dualität. Zugänge zum Hinduismus, in: Weltreligionen. Verstehen, Verständigung, Verantwortung. hrg. von Karl Kardinal Lehmann, Frankfurt, Verlag der Weltreligionen, 2009, pp. 157-176.

55. Light and Reflection: The Metaphysical Background of Aesthetics in Kashmir Saivism, in: Aesthetic Theories and Forms in Indian Tradition, ed. by Kapila Vatsyayan and D.P. Chattopadhyaya, Centre for Studies in Civilizations, New Delhi, 2008, pp. 127-147.

54. Swami Abhishiktananda: Mystic of the Inner Dialogue, in: Fullness of Life. ed. by Kala Acharya, Milena Carrara Pavan, William Parker, Mumbai, Somaiya Publications. 2008, pp. 173-189.

53, The Lord of the Heart: Abhinavagupta’s Aesthetics and Kashmir Saivism, in: Religion and the Arts, A Journal from Boston College, Vol. 12-1-3 (2008), Special Issue: The Interreligious Imagination, ed. by Richard Kearney, Brill, Leiden, pp. 214-229.
The same has also been published in: Traversing the Heart. Journeys of the Inter-religious Imagination, ed. by Richard Kearney and Eileen Rizo-Patron, Leiden, Brill, 2010, pp. 219-233.

52. The Three Grammatical Persons and Trika, in: Linguistic Traditions of Kashmir, Edited by Mrinal Kaul & Ashok Aklujkar, New Delhi, (D.K. Printworld) 2008, pp. 206-222.

51. Tantric Elements in Bhima Bhoi, in: Popular Religion and Ascetic Practices. New Studies on Mahima Dharma, ed. by Ishita Banerjee-Dube, Johannes Beltz, Delhi (Manohar) 2008, pp. 159-172.

50. Interreligiosität und Spiritualität. Eine Perspektive "von innen", in: Johann Figl (ed.), Religionswissenschaft – Interdisziplinarität und Interreligiosität, Wien (LIT) 2007, pp. 87-95.

48. Can the Hindu Experience of God Enrich the European Concept of God? in: Hintersteiner, Norbert (ed.), Naming and Thinking God in Europe Today, Amsterdam/New York 2007, (Currents of Encounter – Studies on the Contact between Christianity and Other Religions, Beliefs and Cultures 32), pp. 429-437.

47. His Holiness the Dalai Lama in Dialogue with Christian Monastics: A Model for Mutual Enrichment, in: MID Bulletin, also on the website:

46. Introduction to: Vijnana Bhairava, The Practice of Centring Awareness, Commentary by Swami Lakshman Joo, Varanasi (Indica Books) 2002, 2nd ed. 2007, pp. 13-25

45. Surya in a Saiva Perspective: The Sambapancasika, A Mystical Hymn of Kashmir and its Commentary by Ksemaraja: in Sahrdaya, Studies in Indian and South East Asian Art in Honour of Dr. R. Nagaswamy Ed. by B. Bäumer, R.N. Misra, C. Prapandvidya, D. Handa, Chennai (Tamil Arts Academy), 2006, pp.1-28

44. The three grammatical persons and Trika, in: Indian Linguistics, Dr. Debi Prasanna Pattanayak Felicitation Volume, Vol. 67, Nos 1-4, 2006, pp. 19-27.

43. Praxis der Nicht-Dualität. Die Spiritualität des Vijnana Bhairava Tantra, in: Karl Baier (ed.), Handbuch Spiritualität: Zugänge, Traditionen, interreligiöse Prozesse, Darmstadt (Wissenschaftliche Buchgesellschaft) 2006, pp. 267-276.

42. Sakti, die Dynamik des Absoluten. Aspekte der göttlichen Energie im Sivaismus von Kashmir, in: Das Geschlecht der Religion, ed. by Florian Uhl, Artur R. Boelderl, Berlin (Parerga), 2005, pp. 113-123.

41. Meditation on Death, in: Voice of Death, Traditional Thought and Modern Science. ed. by B.N. Saraswati, New Delhi (D.K. Printworld), Varanasi (N.K. Bose Mem. Foundation), 2005, pp. 25-35.

40. Beauty as anandasakti in Kashmir Saivism, in: Saundarya. The Perception and Practice of Beauty in India, ed. by H.V. Dehejia and M. Paranjape. New Delhi (Samvad India Foundation) 2003.

39. From Stone to God, in: R. Nagaswamy, Foundations of Indian Art, Chennai (Tamil Arts Academy) 2002, pp. 28-38.

38. Tantrik Pandits in Varanasi: A Brief Survey, in: A. Michaels (Ed.), The Pandit. Traditional Scholarship in India, New Delhi (Manohar) 2001, pp. 99-103.

37. Micro-macrocosmic relationships in the Chandogya Upanisad, in: Jnana Pravaha Bulletin No. 4, 2000-2001, Varanasi, pp. 69-78.

36. Abhishiktananda and the Challenge of Hindu-Christian Experience, in: MID Bulletin "Christ of the 21st Century" Papers, No. 64, May 2000, pp. 34-41.

35. Yoga and Art: An Indian Approach, in: B.N. Goswamy (ed.), Indian Art: Forms, Concerns and Development in Historical Perspective, New Delhi (Munshiram Manoharlal), 2000, pp. 77-90.

34. Vayu: The Life-Breath of the World in the Hindu Tradition, in: M. Burger, P. Schreiner (eds.). The Perception of the Elements in the Hindu Tradition. Bern etc. (Peter Lang), 1999, pp. 145-158.

33. Trinität in Indien, in: Una Sancta 2/98, pp. 156-163.

32. A Few Methodological Remarks, in: K.S. Behera (ed.). The Utkala Pradipa, Vol. II, No. 1, P.G. D epartment of Ancient Indian History, Culture and Archaeology, Utkal University, Bhubaneswar, 1998.

31. Disharmony - The Root of Evil in Kashmir Saivism, in: A. Amaladass (Ed.). The Problem of Evil. Chennai (Satya Nilayam Publ.), 1997, pp. 110-125.

30. Reinkarnation und Karma in der religiösen Vorstellung des Hinduismus, in: Religionen unterwegs, Wien, Mai 1996.

29. Universal Harmony: Samata in Kashmir Saivism, in: Universal Responsibility, HH The Dalai Lama Felicitation Volume, ed. by R.C. Tewari, Krishna Nath, New Delhi, 1995, pp. 111-119.

28. Aesthetics of mysticism or mysticism of aesthetics? The approach of Kashmir Saivism, in: Mysticism in Saivism and Christianity (see books).

27. Panikkar´s Hermeneutic of Myth, in: J. Prabhu (Ed.): The Intercultural Challenge of Raimon Panikkar. New York (Orbis Books), 1996.

26. Sun, Consciousness and Time: The Way of Time and the Timeless in Kashmir Saivism, in K. Vatsyayan (ed.), Concepts of Time - Ancient and Modern. New Delhi (IGNCA and Sterling), 1996, pp. 73-78.

25. The Relevance of Silpa/Vastusastra, in : Gandhian Perspectives, Vol. VII, No.1,Spring 1994, pp. 23-28.

24. Lines of Fire, Lines of Water: The Elements in Silpa-Sastra, in: Prakrti: The Agamic Tradition and the Arts (see books).

23. The Rajarani Temple Re-identified, in: India International Centre Quarterly, Spring 1994 ( Utkaldhvani), pp.124-132.

22. Mudra: Its Metaphysical Basis in Kashmir Saivism, in: Art, The Integral Vision, Kapila Vatsyayan Felicitation Volume, ed. by B.N. Saraswati, S.C. Malik, Madhu Khanna, New Delhi ( D.K. Printworld) 1994, pp. 111-121.

21. Vac as Samvada: Dialogue in the Context of Advaita Saivagamas, Festschrift G. Oberhammer, Vienna, 1994.

20. The Play of the Three Worlds: The Trika Concept of lila, in: William Sax (ed.): The Gods at Play. The Concept of lila in South Asia. New York (OUP) 1994

19. Himmel - Erde - Meer: Die Spiritualität eines Malers, in: Eduard Bäumer, Monographie, Salzburg (Verlag Galerie Welz),1992, pp. 403- 423

18. From Guha to Akasa: The Mystical Cave in the Vedic and Saiva Traditions, in: K. Vatsyayan (Ed.), Concepts of Space, Ancient and Modern, New Delhi ( Indira Gandhi National Centre for the Arts and Abhinav) 1991, pp. 105-122

17. The Guru in the Hindu Tradition, in: Studies in Formative Spirituality, Vol. XI, Number 3, November 1990, pp. 341-353

16. L'image divine: Sa raison d'etre et son effet selon la Vastusutra Upanisad, in: L'image divine, culte et méditation dans l'hindouisme, ed. by A. Padoux, Paris (C.N.R.S.) 1990.

15. A Journey with the Unknown, in: Tosh Arai and Wesley Ariarajah (ed.): Spirituality in Interfaith Dialogue, WCC Publications, Geneva 1989, pp.36-41

14. Unmanifest and Manifest Form according to the Saivagamas, in: A.L. Dallapiccola (Ed.), Shastric Traditions in Indian Arts, Stuttgart (South Asia Institute, Heidelberg), 1989, pp. 339-349.

13. Einblicke in die indische Kunst: Das wissenschaftliche Werk von Alice Boner, in: Alice Boner und die Kunst Indiens, ed. by E. Fischer, G. Boner, Zürich 1982, pp. 71-91. In English: Insights into Indian Art. Alice Boner's Scholarly Work. In: Alice Boner - Artist and Scholar, Varanasi (Bharat Kala Bhavan) 1989.

12. Can Diverse Religious Life-Worlds be shared?, in: T.S. Rukmani (ed.), Religious Consciousness and Life-Worlds, Simla, Indian Institute of Advanced Study, 1988, pp. 129-138.

11. Duhkha und Ananda: Zwei Grundansätze hinduistischer Lebenshaltung, in: Von der Erkenntnis des Leides, Wien (Picus) 1988, pp. 83-90.

10 Purusa and the Origin of Form, in: Rupa Pratirupa (see books).

9. Vena - A Mystical Hymn of the Atharvaveda, in: Navonmesa, MM Gopinath Kaviraj Commemoration Volume (English), Mata Anandamayee Ashram, Varanasi,1987,

8. Panjara et yantra: Le diagramme de l'image sacrée, in : Mantras et diagrammes rituels dans l'hindouisme, ed. by A. Padoux, Paris (C.N.R.S.) 1986.

7. The Divine Artist, in: The Indian Theosophist, Thakur Jaideva Singh Felicitation Number, Oct.-Nov. 1985, Vol. 82, Nos. 10-11, pp. 79-86.

Attached: quantum chemistry results =
____________
DFT (ωB97M-V/def2-TZVPD) results for a structure of composition C38H63IrN7O3SSbSi3.

Geometry as XYZ:
```
117
C38H63IrN7O3SSbSi3 | the Open Molecules 2025 dataset | ωB97M-V/def2-TZVPD
Ir -0.636 -1.155 -0.570
C 0.657 0.579 4.272
Sb 0.880 0.402 2.101
C -0.429 -1.254 1.551
C 0.575 -2.234 1.999
C 0.501 -3.634 1.999
C 1.583 -4.349 2.455
C 2.734 -3.686 2.900
C 2.758 -2.314 2.869
N 1.700 -1.625 2.427
Si -2.012 -1.337 2.580
C -2.942 0.289 2.628
C -1.612 -1.775 4.382
C -3.162 -2.698 2.039
C 3.652 1.938 -0.325
C 3.256 0.694 -0.912
C 3.419 0.426 -2.311
C 3.078 -0.776 -2.861
C 2.560 -1.785 -2.043
C 2.416 -1.474 -0.710
N 2.725 -0.299 -0.158
Si 4.565 1.961 1.245
C 4.527 0.350 2.233
C 6.409 2.303 0.953
C 4.066 3.300 2.488
Si 3.596 3.428 -1.370
C 2.086 3.441 -2.531
C 3.549 5.041 -0.382
C 5.101 3.719 -2.499
H -0.302 1.027 4.535
H 1.447 1.250 4.608
H 0.749 -0.381 4.771
H -0.395 -4.114 1.634
H 1.546 -5.432 2.464
H 3.598 -4.229 3.254
H 3.619 -1.741 3.183
H -2.283 1.151 2.749
H -3.628 0.270 3.477
H -3.526 0.433 1.718
H -1.314 -0.920 4.987
H -0.817 -2.520 4.454
H -2.506 -2.211 4.834
H -3.352 -2.690 0.971
H -4.115 -2.591 2.568
H -2.748 -3.673 2.303
H 3.868 1.190 -2.932
H 3.223 -0.947 -3.922
H 2.250 -2.749 -2.418
H 2.034 -2.225 -0.027
H 4.262 -0.489 1.593
H 3.796 0.406 3.044
H 5.506 0.167 2.682
H 6.816 1.589 0.234
H 6.992 2.234 1.874
H 6.557 3.303 0.540
H 3.004 3.228 2.732
H 4.256 4.306 2.120
H 4.635 3.172 3.412
H 1.393 4.241 -2.260
H 1.541 2.496 -2.508
H 2.389 3.614 -3.567
H 2.965 4.954 0.533
H 3.127 5.844 -0.990
H 4.560 5.342 -0.102
H 5.205 2.936 -3.252
H 6.019 3.725 -1.909
H 5.031 4.677 -3.021
C -2.362 3.605 0.982
C -1.217 3.179 0.069
C -1.619 3.416 -1.391
C 0.059 3.946 0.400
N -0.993 1.748 0.371
N -0.237 1.018 -0.598
H -2.492 4.687 0.939
H -2.153 3.324 2.015
H -3.297 3.129 0.679
H -1.934 4.453 -1.514
H -2.450 2.766 -1.672
H -0.782 3.254 -2.073
H -0.072 5.013 0.214
H 0.892 3.600 -0.215
H 0.334 3.800 1.445
H -1.895 1.268 0.402
H 0.753 1.261 -0.512
H -0.532 1.224 -1.554
O -0.404 -0.858 -2.766
N -1.414 -1.274 -3.519
C -1.581 -2.598 -3.709
C -2.639 -3.065 -4.451
C -3.533 -2.157 -5.010
C -3.336 -0.803 -4.806
C -2.269 -0.379 -4.039
H -0.845 -3.213 -3.217
H -2.756 -4.132 -4.572
H -4.377 -2.507 -5.588
H -4.015 -0.060 -5.199
H -2.047 0.650 -3.812
C 0.191 -5.193 -1.242
O 0.261 -3.787 -1.071
C -0.943 -3.103 -0.748
O -1.953 -3.773 -0.700
H 0.848 -5.459 -2.072
H -0.831 -5.516 -1.441
H 0.550 -5.698 -0.338
C -6.401 -3.768 -0.121
C -6.175 -2.340 -0.524
C -7.216 -1.453 -0.770
C -6.840 -0.165 -1.117
N -5.584 0.233 -1.214
C -4.643 -0.699 -0.959
S -2.988 -0.181 -1.109
N -4.908 -1.965 -0.626
H -7.456 -4.040 -0.155
H -6.024 -3.922 0.891
H -5.829 -4.426 -0.775
H -8.253 -1.746 -0.697
H -7.595 0.590 -1.324
```

Calculated values
Spin multiplicity ... 2
LUMO energy (spin up / spin down) ... 2.2 / 2.2 eV
Frontier orbital gap (spin up / spin down) ... 5.6 / 5.6 eV
Expectation value of S² ... 0.755
Total charge ... -1
DFT total energy ... -3706.0964 Eh
____________
So much for the quantum chemistry results =

6. Henri Le Saux: Abhishiktananda, in: Große Mystiker, Leben und Wirken, ed. by G. Ruhbach and J. Sudbrack, München (C.H. Beck) 1984.

5. Silpa-Sastra-Texte in Orissa, in: Orissa. Kunst und Kultur in Nordost-Indien, ed. by E. Fischer, S. Mahapatra, D. Pathy, Zürich 1980.

3. Die Unvermitteltheit der höchsten Erfahrung bei Abhinavagupta, in: G. Oberhammer (ed.), Transzendenzerfahrung, Vollzugshorizont des Heils, Wien (Sammlung De Nobili) 1978, pp.61-79.

2. Die Bedeutung der Tradition im Hinduismus, in: Kairos XX, 1978, pp.218-233.

1. Empirical Apperception of Time: Kala and Karman, Time and History in the Indian Tradition (with R. Panikkar), in: Cultures and Time, UNESCO, Paris 1975, pp.78-88 (also in French).